Wordle Takes Over the World
Wordle, owned by the New York Times, is a new obsession with students at AHS.

SAVE OUR EARTH- On Earth Day, Wordle made their word “Plant.” Make sure you go out and recycle!
April 25, 2022
“Have you done the Wordle today?”
“How many tries did it take you?”
“I got it in two!”
The word “Wordle” is passed among students, teachers, families, and friends, but what does it mean?
Wordle is a once-a-day online game released in October of 2021 but originally developed in 2013. As a play on his last name, the creator Josh Wardle titled the game “Wordle.” It was originally created as a game for just him and a partner who loved word games, but when others found interest in it, he considered doing more, according to Upworthy.com.
Wordle challenges the player to figure out a five-letter word in six or fewer guesses. Certain colors mean different things: If the letter is in the correct place, it will show up in green. If a letter is in the word but not in the correct place, it will appear in yellow. A guessed letter will show as gray if it is not in the word at all.
This game rapidly became popular all around the world. It’s intended to make you think for just a little bit of time out of your day, but not too much. Since it is playable only once a day, it leaves people wanting to play again, causing them to come back the next day.
People have found a variety of ways to get to the game. From a survey sent out to AHS, the most common ways to hear about it were through social media (34.7%), friends (32.7%), or teachers (18.4%). Others found the game via advertisements in other games, or just people within their surroundings. Freshman Audrianna Bayona said, “I heard about it from a friend of mine who had started playing, and she said she liked it and that I should give it a try.” From that moment on, Bayona has played every day.
Wordle is a fun, addictive game that doesn’t have you playing just once. It continues to make you want to play every day. “I think I have been playing Wordle every day for the past three months. I definitely have not missed a day since I started playing,” said Randall Simpson, an English teacher here at AHS who has shown many people this fun new game. “I have shown the game to my parents. They both play. I also showed it to my students. I have no idea how many of my students play Wordle, but it’s a lot. The other day, during 1st period, so many of my students were playing Wordle that I didn’t start class until around 10 minutes after the bell. I think it’s cool that students are playing a language game and learning, even if they don’t realize it.”
Wordle, however, has its frustrations. Occasionally, there is a double letter, meaning you use it twice. You have to figure that out on your own. “The one thing that can frustrate me about Wordle is when there are two many consonant possibilities. For example, if you have _RAVE, there are too many word possibilities, like GRAVE, BRAVE, CRAVE. It makes it less a game of skill and more of a guessing game,” said Simpson.
### Between two parts of the article: calculated crystals
........
Entry 1:
# Mg2TaCl (GGA-PBE, relaxed)
# theoretical density: 5.7 g/cm³
# crystal system: orthorhombic
# formation energy from raw total energies: -0.219 eV per atom
# offset from the most stable computed form: 37 meV per atom
# electronic total energy: -4.441 eV/atom
data_Mg2TaCl
_chemical_formula_sum 'Mg2 Ta1 Cl1'
_symmetry_space_group_name_H-M 'P 1'
_symmetry_Int_Tables_number 1
_symmetry_space_group_name_Hall 'P 1'
_cell_length_a 3.053
_cell_length_b 3.053
_cell_length_c 8.416
_cell_angle_alpha 90.00
_cell_angle_beta 90.00
_cell_angle_gamma 97.78
loop_
_atom_site_label
_atom_site_type_symbol
_atom_site_fract_x
_atom_site_fract_y
_atom_site_fract_z
Cl1 Cl 0.500 0.500 0.750
Mg1 Mg 0.000 0.000 0.996
Mg2 Mg 0.000 0.000 0.504
Ta1 Ta 0.500 0.500 0.250



Entry 2:
# Mg2Ta2Cl (GGA-PBE, relaxed)
# theoretical density: 6.2 g/cm³
# crystal system: tetragonal
# formation energy from raw total energies: 0.261 eV per atom
# offset from the most stable computed form: 0 meV per atom
# electronic total energy: -5.487 eV/atom
data_Mg2Ta2Cl
_chemical_formula_sum 'Mg2 Ta2 Cl1'
_symmetry_space_group_name_H-M 'P 1'
_symmetry_Int_Tables_number 1
_symmetry_space_group_name_Hall 'P 1'
_cell_length_a 3.701
_cell_length_b 3.701
_cell_length_c 9.096
_cell_angle_alpha 78.26
_cell_angle_beta 78.26
_cell_angle_gamma 90.00
loop_
_atom_site_label
_atom_site_type_symbol
_atom_site_fract_x
_atom_site_fract_y
_atom_site_fract_z
Mg1 Mg 0.388 0.388 0.224
Mg2 Mg 0.612 0.612 0.776
Cl1 Cl 0.000 0.000 0.000
Ta1 Ta 0.750 0.250 0.500
Ta2 Ta 0.250 0.750 0.500



Entry 3:
# Mg2TaCl (GGA-PBE, relaxed)
# theoretical density: 5.4 g/cm³
# crystal system: tetragonal
# formation energy from raw total energies: 0.518 eV per atom
# offset from the most stable computed form: 774 meV per atom
# electronic total energy: -3.704 eV/atom
data_Mg2TaCl
_chemical_formula_sum 'Mg4 Ta2 Cl2'
_symmetry_space_group_name_H-M 'P 1'
_symmetry_Int_Tables_number 1
_symmetry_space_group_name_Hall 'P 1'
_cell_length_a 7.528
_cell_length_b 7.528
_cell_length_c 6.042
_cell_angle_alpha 51.46
_cell_angle_beta 51.46
_cell_angle_gamma 90.00
loop_
_atom_site_label
_atom_site_type_symbol
_atom_site_fract_x
_atom_site_fract_y
_atom_site_fract_z
Mg1 Mg 0.584 0.125 0.250
Mg2 Mg 0.166 0.625 0.250
Mg3 Mg 0.375 0.416 0.750
Mg4 Mg 0.875 0.834 0.750
Cl1 Cl 0.500 0.500 0.000
Cl2 Cl 0.250 0.750 0.500
Ta1 Ta 0.000 0.000 0.000
Ta2 Ta 0.750 0.250 0.500



Entry 4:
# Mg2TaCl (GGA-PBE, relaxed)
# theoretical density: 5.6 g/cm³
# crystal system: tetragonal
# formation energy from raw total energies: -0.218 eV per atom
# offset from the most stable computed form: 38 meV per atom
# electronic total energy: -4.440 eV/atom
data_Mg2TaCl
_chemical_formula_sum 'Mg2 Ta1 Cl1'
_symmetry_space_group_name_H-M 'P 1'
_symmetry_Int_Tables_number 1
_symmetry_space_group_name_Hall 'P 1'
_cell_length_a 3.060
_cell_length_b 3.060
_cell_length_c 8.327
_cell_angle_alpha 90.00
_cell_angle_beta 90.00
_cell_angle_gamma 90.00
loop_
_atom_site_label
........
Yet the good definitely outweighs the bad. Junior Ethan Steffens said, “I like how it keeps you on your toes and it’s something new that I’ve never seen before.”
Garrett McLaren, a senior, said he likes that it “Strengthens vocab and makes you think in a different way.” Also, of course, it’s a fun game overall.
“It’s honestly just addicting,” said sophomore Alex Sonntag. The game also makes for a bit of a competition to see who can get it in the least amount of tries.
“Everyone in the English department competes against each other,” said Simpson. Miss Rhodes, a study hall teacher, said she likes that it’s “keeping my streak of wins.”
However, the fun doesn’t stop there. Since Wordle, many others have made similar games. Some that the students of AHS play are Mathler, Globle, Nerdle, Worldle, and more.
So as this game progressively becomes more and more popular, the students here continue to play it each and every day. These new words have created a space for fun learning within our community. Have you done the Wordle today?